Now quote the whole of the rows further below exactly.
Below is crystalline TaIn2FeO6 at its relaxed geometry, with properties calculated at the PBE with a Hubbard U level.

Cell: 5.5080 5.5111 5.8064 Å, 117.32 91.44 119.28°
Space group P1 (No. 1)
One atom of each set of equivalent atoms:
Ta 0.0000 0.0000 0.0000 [1 per cell]
In 0.2164 0.4359 0.6521 [1 per cell]
In 0.7108 0.4245 0.1368 [1 per cell]
Fe 0.4896 0.9844 0.4822 [1 per cell]
O 0.1132 0.9022 0.2850 [1 per cell]
O 0.2681 0.9359 0.8061 [1 per cell]
O 0.3719 0.4770 0.2798 [1 per cell]
O 0.6696 0.5349 0.8074 [1 per cell]
O 0.8006 0.1712 0.2817 [1 per cell]
O 0.8521 0.1242 0.7933 [1 per cell]

Values from the calculation:
- calculated total energy (eV per cell) = -70.811
- volume (Å³ per cell) = 129.31
- M_tot (μB per atom) = 0.399


# PBE with a Hubbard U NpCoO6, relaxed
data_NpCoO6
_cell_length_a 4.900
_cell_length_b 5.409
_cell_length_c 4.898
_cell_angle_alpha 82.90
_cell_angle_beta 74.16
_cell_angle_gamma 63.07
_symmetry_space_group_name_H-M 'P 1'
_symmetry_Int_Tables_number 1
loop_
_symmetry_equiv_pos_as_xyz
'x,y,z'
loop_
_atom_site_label
_atom_site_fract_x
_atom_site_fract_y
_atom_site_fract_z
Np1 0.000 0.000 0.000
O1 0.876 0.741 0.250
O2 0.124 0.259 0.750
O3 0.727 0.000 0.722
O4 0.617 0.259 0.250
O5 0.383 0.741 0.750
O6 0.273 0.000 0.278
Co1 0.500 0.000 0.500
# E   -59.0 eV for the cell shown
# N(E_F)   0.36 states/eV/cell


Entry 1:
A plane-wave DFT calculation with GGA-PBE was carried out for a geometry-optimized MgGaNi2 structure.

Total moment (μB per formula unit): 0.00
D(E_F) (states/eV per cell): 3.17

Cell and atoms, written as POSCAR:
```
MgGaNi2
1.0
4.123 -0.603 -0.385
2.568 3.282 -0.385
2.567 1.028 3.140
Ni Mg Ga
2 1 1
Cartesian
4.629 1.853 1.184 Ni
0.000 0.000 0.000 Ni
2.315 0.927 0.592 Mg
6.944 2.780 1.777 Ga
```

Entry 2:
A plane-wave DFT calculation with GGA-PBE was carried out for a geometry-optimized Mg2Ga6Ni structure.

Total moment (μB per formula unit): 0.00
D(E_F) (states/eV per cell): 2.47

Cell and atoms, written as POSCAR:
```
Mg2Ga6Ni
1.0
5.230 0.000 0.000
-2.615 4.957 0.706
0.000 -0.357 6.065
Mg Ga Ni
2 6 1
Cartesian
2.615 1.478 0.844 Mg
0.000 3.122 5.927 Mg
3.911 0.771 4.228 Ga
2.615 3.152 4.769 Ga
1.319 0.771 4.228 Ga
-1.296 3.829 2.543 Ga
0.000 1.448 2.002 Ga
1.296 3.829 2.543 Ga
0.000 0.000 0.000 Ni
```

Entry 3:
A plane-wave DFT calculation with GGA-PBE was carried out for a geometry-optimized Mg4GaNi structure.

Total moment (μB per formula unit): 0.00
D(E_F) (states/eV per cell): 4.75

Cell and atoms, written as POSCAR:
```
Mg4GaNi
1.0
-2.606 -3.994 -1.960
4.055 -2.749 5.968
-5.374 4.581 1.713
Mg Ga Ni
8 2 2
Cartesian
-3.831 3.093 2.624 Mg
-2.642 -2.079 3.841 Mg
-2.756 0.957 4.663 Mg
-0.666 -1.091 5.991 Mg
-3.259 -1.071 -0.270 Mg
-1.169 -3.119 1.057 Mg
-1.283 -0.083 1.880 Mg
-0.094 -5.255 3.097 Mg
0.183 -2.063 3.447 Ga
-4.108 -0.099 2.273 Ga
-1.946 0.827 7.171 Ni
-1.979 -2.989 -1.450 Ni
```

Entry 4:
A plane-wave DFT calculation with GGA-PBE was carried out for a geometry-optimized MgGa2Ni structure.

Total moment (μB per formula unit): 0.00
D(E_F) (states/eV per cell): 1.34

Cell and atoms, written as POSCAR:
```
MgGa2Ni
1.0
-2.929 0.622 -1.950
-1.065 -2.387 -2.436
-4.983 -3.583 3.070
Mg Ga Ni
1 2 1
Cartesian
-4.466 -2.656 -0.686 Mg
-4.281 -3.008 2.199 Ga
-2.031 -1.162 -0.594 Ga
-2.689 -1.198 -2.892 Ni
```

Entry 5:
A plane-wave DFT calculation with GGA-PBE was carried out for a geometry-optimized Mg3Ga3Ni2 structure.

Total moment (μB per formula unit): 0.00
D(E_F) (states/eV per cell): 7.33

Cell and atoms, written as POSCAR:
```
Mg3Ga3Ni2
1.0
-3.665 -0.774 1.669
3.941 -2.406 2.502
1.422 10.771 8.118
Mg Ga Ni
6 6 4
Cartesian
0.523 1.417 6.845 Mg
1.570 9.171 7.703 Mg
0.127 -1.580 4.586 Mg
1.175 6.174 5.444 Mg
-0.877 1.510 3.814 Mg
2.574 6.081 8.475 Mg
-0.620 3.855 5.466 Ga
2.921 8.307 10.269 Ga
-1.223 -0.716 2.020 Ga
2.318 3.736 6.824 Ga
1.837 0.730 4.374 Ga
-0.139 6.861 7.915 Ga
0.654 7.631 10.014 Ni
1.453 3.060 4.611 Ni
0.245 4.531 7.678 Ni
1.044 -0.040 2.275 Ni
```

Entry 6:
Below is crystalline TaIn2FeO6 at its relaxed geometry, with properties calculated at the PBE with a Hubbard U level.

Cell: 5.5080 5.5111 5.8064 Å, 117.32 91.44 119.28°
Space group P1 (No. 1)
One atom of each set of equivalent atoms:
Ta 0.0000 0.0000 0.0000 [1 per cell]
In 0.2164 0.4359 0.6521 [1 per cell]
In 0.7108 0.4245 0.1368 [1 per cell]
Fe 0.4896 0.9844 0.4822 [1 per cell]
O 0.1132 0.9022 0.2850 [1 per cell]
O 0.2681 0.9359 0.8061 [1 per cell]
O 0.3719 0.4770 0.2798 [1 per cell]
O 0.6696 0.5349 0.8074 [1 per cell]
O 0.8006 0.1712 0.2817 [1 per cell]
O 0.8521 0.1242 0.7933 [1 per cell]

Values from the calculation:
- calculated total energy (eV per cell) = -70.811
- volume (Å³ per cell) = 129.31
- M_tot (μB per atom) = 0.399


# PBE with a Hubbard U NpCoO6, relaxed
data_NpCoO6
_cell_length_a 4.900
_cell_length_b 5.409
_cell_length_c 4.898
_cell_angle_alpha 82.90
_cell_angle_beta 74.16
_cell_angle_gamma 63.07
_symmetry_space_group_name_H-M 'P 1'
_symmetry_Int_Tables_number 1
loop_
_symmetry_equiv_pos_as_xyz
'x,y,z'
loop_
_atom_site_label
_atom_site_fract_x
_atom_site_fract_y
_atom_site_fract_z
Np1 0.000 0.000 0.000
O1 0.876 0.741 0.250
O2 0.124 0.259 0.750
O3 0.727 0.000 0.722
O4 0.617 0.259 0.250
O5 0.383 0.741 0.750
O6 0.273 0.000 0.278
Co1 0.500 0.000 0.500
# E   -59.0 eV for the cell shown
# N(E_F)   0.36 states/eV/cell


Entry 1:
A plane-wave DFT calculation with GGA-PBE was carried out for a geometry-optimized MgGaNi2 structure.

Total moment (μB per formula unit): 0.00
D(E_F) (states/eV per cell): 3.17

Cell and atoms, written as POSCAR:
```
MgGaNi2
1.0
4.123 -0.603 -0.385
2.568 3.282 -0.385
2.567 1.028 3.140
Ni Mg Ga
2 1 1
Cartesian
4.629 1.853 1.184 Ni
0.000 0.000 0.000 Ni
2.315 0.927 0.592 Mg
6.944 2.780 1.777 Ga
```

Entry 2:
A plane-wave DFT calculation with GGA-PBE was carried out for a geometry-optimized Mg2Ga6Ni structure.

Total moment (μB per formula unit): 0.00
D(E_F) (states/eV per cell): 2.47

Cell and atoms, written as POSCAR:
```
Mg2Ga6Ni
1.0
5.230 0.000 0.000
-2.615 4.957 0.706
0.000 -0.357 6.065
Mg Ga Ni
2 6 1
Cartesian
2.615 1.478 0.844 Mg
0.000 3.122 5.927 Mg
3.911 0.771 4.228 Ga
2.615 3.152 4.769 Ga
1.319 0.771 4.228 Ga
-1.296 3.829 2.543 Ga
0.000 1.448 2.002 Ga
1.296 3.829 2.543 Ga
0.000 0.000 0.000 Ni
```

Entry 3:
A plane-wave DFT calculation with GGA-PBE was carried out for a geometry-optimized Mg4GaNi structure.

Total moment (μB per formula unit): 0.00
D(E_F) (states/eV per cell): 4.75

Cell and atoms, written as POSCAR:
```
Mg4GaNi
1.0
-2.606 -3.994 -1.960
4.055 -2.749 5.968
-5.374 4.581 1.713
Mg Ga Ni
8 2 2
Cartesian
-3.831 3.093 2.624 Mg
-2.642 -2.079 3.841 Mg
-2.756 0.957 4.663 Mg
-0.666 -1.091 5.991 Mg
-3.259 -1.071 -0.270 Mg
-1.169 -3.119 1.057 Mg
-1.283 -0.083 1.880 Mg
-0.094 -5.255 3.097 Mg
0.183 -2.063 3.447 Ga
-4.108 -0.099 2.273 Ga
-1.946 0.827 7.171 Ni
-1.979 -2.989 -1.450 Ni
```

Entry 4:
A plane-wave DFT calculation with GGA-PBE was carried out for a geometry-optimized MgGa2Ni structure.

Total moment (μB per formula unit): 0.00
D(E_F) (states/eV per cell): 1.34

Cell and atoms, written as POSCAR:
```
MgGa2Ni
1.0
-2.929 0.622 -1.950
-1.065 -2.387 -2.436
-4.983 -3.583 3.070
Mg Ga Ni
1 2 1
Cartesian
-4.466 -2.656 -0.686 Mg
-4.281 -3.008 2.199 Ga
-2.031 -1.162 -0.594 Ga
-2.689 -1.198 -2.892 Ni
```

Entry 5:
A plane-wave DFT calculation with GGA-PBE was carried out for a geometry-optimized Mg3Ga3Ni2 structure.

Total moment (μB per formula unit): 0.00
D(E_F) (states/eV per cell): 7.33

Cell and atoms, written as POSCAR:
```
Mg3Ga3Ni2
1.0
-3.665 -0.774 1.669
3.941 -2.406 2.502
1.422 10.771 8.118
Mg Ga Ni
6 6 4
Cartesian
0.523 1.417 6.845 Mg
1.570 9.171 7.703 Mg
0.127 -1.580 4.586 Mg
1.175 6.174 5.444 Mg
-0.877 1.510 3.814 Mg
2.574 6.081 8.475 Mg
-0.620 3.855 5.466 Ga
2.921 8.307 10.269 Ga
-1.223 -0.716 2.020 Ga
2.318 3.736 6.824 Ga
1.837 0.730 4.374 Ga
-0.139 6.861 7.915 Ga
0.654 7.631 10.014 Ni
1.453 3.060 4.611 Ni
0.245 4.531 7.678 Ni
1.044 -0.040 2.275 Ni
```

Entry 6: